In the present era, arguments against the existence of God often include the problem of evil, which is widely regarded as the most significant among them. It is argued that the presence of imperfections in the universe cannot be attributed with confidence to a wise Creator. As an illustration, it is pointed out that the force of gravity on earth is significantly higher than it would need to be. When someone falls from a relatively small height, it can result in a broken bone. If gravity were lower, this would not be the case.
However, such discussions arise from limited knowledge, contemplation, and thought. Ancient wisdom seems to have overlooked that falling is an occasional accident, deviating from the norm. If gravity were lower, it would disrupt everyday life on earth. Humans would struggle to stand firmly, our transportation systems would falter, buildings and factories would collapse, and water would not remain grounded, among other consequences. The truth is that what some perceive as flaws in the natural system are indications of balance and equilibrium within it.
An amazing balance in the system of Nature characterizes the universe. These words of the Quran beautifully express this reality:
“He created seven heavens, one above the other in layers. You will not find any flaw in the creation of the Gracious One. Then look once again: can you see any flaw? Then look again and again. Your gaze will come back to you confused and exhausted.” (67:3-4)
The physical universe is flawless and free of defects because it is under the direct control of God. It is the material manifestation of God’s attributes. However, the affairs of the human world are different. Anton Pavlovich Chekhov (1860-1904) rightly said:
“The world is infinitely beautiful. Only one thing in it is not beautiful: man.”
Man is the only creature in the known universe that harbours enmity with his fellow humans (Quran, 2:36). He creates corruption on the earth instead of reforming it. He engages in actions that destroy crops and generations (Quran, 2:205), and so on.
Why is there a difference between the two domains—man’s world and the rest of the universe? This is because the rest of the universe directly functions according to God’s command. It is compelled to be the way God wants it to be. But man has been given freedom by God for the test. And so, man can choose to walk either of the two paths: the right or the wrong path. The cause of the corruption of the human world is just this. The rest of the universe is bound to follow God’s will, which is why it is defect-free.
In contrast, man follows his desires, which is why chaos, strife, and corruption keep emerging in his affairs. Every evil found on earth results from a wrong use of human freedom. Throughout history, man has proven correct the apprehension the angels had expressed before God when man was created. The Quran says:
“When your Lord said to the angels, ‘I am putting a successor on earth,’ they said, ‘Will You place someone there who will cause corruption on it and shed blood, while we glorify You with Your praise and extol Your holiness?’” (2:30)
However, it is essential to understand that man’s freedom is not absolute. Only temporary freedom is given to him according to God’s Creation Plan. Human beings possess freedom for the sake of the test they are being put to while on earth. (Quran, 67:2). The planning of the Lord of the universe is to see who among them, despite possessing free will, chooses not to misuse it but instead uses it correctly so that He may bless the virtuous with His rewards (Quran, 13:22).
The existing system of the world will remain only until the examination process is complete. After the completion of this period, the Master of the earth will take the administration of the earth directly into His own hands, just as He is holding the administration of the rest of the universe directly in His hands (Quran, 19:40). At that time, the good people and the evil people will be separated from each other (Quran, 3:197). The good people will attain eternal paradise, while the evil ones will be cast into the universal dustbin and be eternally deprived.
_Misplaced crystal structures_
+++
This record from Materials Project describes a relaxed V3H6O10 crystal. The functional is GGA+U.

Summary:
E_form in eV per atom: -1.790
Crystal system: triclinic
Energy with MP2020 corrections in Ry per atom: -0.5071
Energy relative to the lowest polymorph listed for this composition in meV/atom: 7
DFT total energy in eV/atom: -6.270
ρ in g cm⁻³: 2.173
Space-group type: P1, No. 1

Unit cell a=6.030 b=8.982 c=9.052 alpha=90.38 beta=96.02 gamma=91.60
Sites, in units of the cell vectors:
V 0.250 0.495 0.488
V 0.278 0.999 0.992
V 0.259 0.141 0.631
V 0.299 0.864 0.359
V 0.276 0.625 0.849
V 0.272 0.366 0.125
H 0.646 0.355 0.453
H 0.685 0.152 0.959
H 0.681 0.855 0.480
H 0.668 0.642 0.952
H 0.878 0.925 0.681
H 0.885 0.754 0.649
H 0.888 0.277 0.431
H 0.687 0.310 0.282
H 0.681 0.331 0.963
H 0.654 0.233 0.796
H 0.734 0.583 0.165
H 0.836 0.747 0.155
O 0.525 0.480 0.511
O 0.554 0.017 0.006
O 0.125 0.301 0.557
O 0.192 0.693 0.402
O 0.208 0.798 0.904
O 0.186 0.186 0.075
O 0.155 0.587 0.671
O 0.162 0.414 0.288
O 0.200 0.909 0.180
O 0.159 0.075 0.792
O 0.532 0.183 0.668
O 0.592 0.864 0.376
O 0.565 0.609 0.857
O 0.558 0.377 0.147
O 0.216 0.997 0.490
O 0.181 0.489 0.975
O 0.789 0.840 0.637
O 0.725 0.276 0.392
O 0.739 0.248 0.907
O 0.801 0.654 0.100

---

This record from Materials Project describes a relaxed YV5H24O26 crystal. The functional is GGA+U.

Summary:
E_form in eV per atom: -1.716
Crystal system: triclinic
Energy with MP2020 corrections in Ry per atom: -0.4700
DFT total energy in eV/atom: -5.924
ρ in g cm⁻³: 2.352
Space-group type: P-1, No. 2

Unit cell a=9.509 b=9.940 c=24.006 alpha=80.37 beta=81.62 gamma=88.97
Sites, in units of the cell vectors:
Y 0.932 0.024 0.876
Y 0.068 0.976 0.124
Y 0.377 0.493 0.620
Y 0.623 0.507 0.380
V 0.483 0.282 0.946
V 0.517 0.718 0.054
V 0.608 0.276 0.062
V 0.392 0.724 0.938
V 0.221 0.465 0.923
V 0.779 0.535 0.077
V 0.340 0.463 0.038
V 0.660 0.537 0.962
V 0.475 0.461 0.150
V 0.525 0.539 0.850
V 0.936 0.194 0.569
V 0.064 0.806 0.431
V 0.149 0.235 0.455
V 0.851 0.765 0.545
V 0.659 0.016 0.577
V 0.341 0.984 0.423
V 0.872 0.053 0.462
V 0.128 0.947 0.538
V 0.098 0.096 0.351
V 0.902 0.904 0.649
H 0.080 0.259 0.052
H 0.920 0.741 0.948
H 0.918 0.246 0.076
H 0.082 0.754 0.924
H 0.273 0.194 0.153
H 0.727 0.806 0.847
H 0.161 0.149 0.208
H 0.839 0.851 0.792
H 0.887 0.154 0.199
H 0.113 0.846 0.801
H 0.869 0.001 0.231
H 0.131 0.999 0.769
H 0.794 0.250 0.947
H 0.206 0.750 0.053
H 0.951 0.286 0.921
H 0.049 0.714 0.079
H 0.651 0.092 0.830
H 0.349 0.908 0.170
H 0.695 0.230 0.846
H 0.305 0.770 0.154
H 0.142 0.229 0.807
H 0.858 0.771 0.193
H 0.995 0.311 0.811
H 0.005 0.689 0.189
H 0.344 0.987 0.049
H 0.656 0.013 0.951
H 0.313 0.143 0.048
H 0.687 0.857 0.952
H 0.181 0.148 0.924
H 0.819 0.852 0.076
H 0.207 0.991 0.929
H 0.793 0.009 0.071
H 0.563 0.306 0.693
H 0.437 0.694 0.307
H 0.407 0.304 0.729
H 0.593 0.696 0.271
H 0.401 0.209 0.586
H 0.599 0.791 0.414
H 0.257 0.255 0.567
H 0.743 0.745 0.433
H 0.644 0.336 0.576
H 0.356 0.664 0.424
+++
The present world is, therefore, a place where men and women are being selected from the entire human history to inhabit the Divine World—Paradise—in the Hereafter. Who will be considered worthy of becoming inhabitants of Paradise? It will be only those who, despite being free, willingly submit to and faithfully follow God’s commands. It will be those people who abide by God’s will without being compelled to do so. In the present world, when the test of human beings is still underway, all sorts of good and bad people are present on earth together. But after the test period is over, only virtuous people will be deemed worthy of the eternal world of Paradise (Quran, 21:105).